2014 Assessment of the Pacific Ocean Perch Stock in the Bering Sea and Aleutian Islands
Pacific ocean perch (Sebastes alutus) inhabit the outer continental shelf and upper slope regions of the North Pacific Ocean and Bering Sea. Pacific ocean perch, and four other associated species of rockfish (northern rockfish, S. polyspinis; rougheye rockfish, S. aleutianus; shortraker rockfish, S. borealis; and sharpchin rockfish, S. zacentrus) were managed as a complex in the two distinct areas from 1979 to 1990. Known as the POP complex, these five species were managed as a single entity with a single TAC (total allowable catch). In 1991, the North Pacific Fishery Management Council separated POP from the other red rockfish in order to provide protection from possible overfishing. Of the five species in the former POP complex, S. alutus has historically been the most abundant rockfish in this region and has contributed most to the commercial rockfish catch.
Calculated crystals, as found in the file:
____________
No. 1
# LiLuInTc | the Alexandria database | PBE | relaxed
# Calculated volume (Å³ per atom): 18.8
# ΔH_f (0 K) (meV per atom): -40
data_LiLuInTc
_cell_length_a 6.704
_cell_length_b 6.704
_cell_length_c 6.704
_cell_angle_alpha 90.00
_cell_angle_beta 90.00
_cell_angle_gamma 90.00
_space_group_name_H-M_alt 'F -4 3 m'
_space_group_IT_number 216
_space_group_name_Hall 'F -4 2 3'
loop_
_atom_site_label
_atom_site_fract_x
_atom_site_fract_y
_atom_site_fract_z
_atom_site_occupancy
Li1 0.000 0.000 0.000 1
Lu1 0.250 0.250 0.750 1
In1 0.250 0.250 0.250 1
Tc1 0.000 0.000 0.500 1


No. 2
# LiLuThIn | the Alexandria database | PBE | relaxed
# Calculated volume (Å³ per atom): 26.1
# ΔH_f (0 K) (meV per atom): -107
data_LiLuThIn
_cell_length_a 7.476
_cell_length_b 7.476
_cell_length_c 7.476
_cell_angle_alpha 90.00
_cell_angle_beta 90.00
_cell_angle_gamma 90.00
_space_group_name_H-M_alt 'F -4 3 m'
_space_group_IT_number 216
_space_group_name_Hall 'F -4 2 3'
loop_
_atom_site_label
_atom_site_fract_x
_atom_site_fract_y
_atom_site_fract_z
_atom_site_occupancy
Li1 0.000 0.000 0.000 1
Lu1 0.250 0.250 0.750 1
Th1 0.250 0.250 0.250 1
In1 0.000 0.000 0.500 1


No. 3
# LiTmLuIn | the Alexandria database | PBE | relaxed
# Calculated volume (Å³ per atom): 24.6
# ΔH_f (0 K) (meV per atom): -239
data_LiTmLuIn
_cell_length_a 7.327
_cell_length_b 7.327
_cell_length_c 7.327
_cell_angle_alpha 90.00
_cell_angle_beta 90.00
_cell_angle_gamma 90.00
_space_group_name_H-M_alt 'F -4 3 m'
_space_group_IT_number 216
_space_group_name_Hall 'F -4 2 3'
loop_
_atom_site_label
_atom_site_fract_x
_atom_site_fract_y
_atom_site_fract_z
_atom_site_occupancy
Li1 0.000 0.000 0.000 1
Tm1 0.250 0.250 0.750 1
Lu1 0.250 0.250 0.250 1
In1 0.000 0.000 0.500 1


No. 4
# LiYLuIn | the Alexandria database | PBE | relaxed
# Calculated volume (Å³ per atom): 25.2
# ΔH_f (0 K) (meV per atom): -269
data_LiYLuIn
_cell_length_a 7.385
_cell_length_b 7.385
_cell_length_c 7.385
_cell_angle_alpha 90.00
_cell_angle_beta 90.00
_cell_angle_gamma 90.00
_space_group_name_H-M_alt 'F -4 3 m'
_space_group_IT_number 216
_space_group_name_Hall 'F -4 2 3'
loop_
_atom_site_label
_atom_site_fract_x
_atom_site_fract_y
_atom_site_fract_z
_atom_site_occupancy
Li1 0.000 0.000 0.000 1
Y1 0.250 0.250 0.250 1
Lu1 0.250 0.250 0.750 1
In1 0.000 0.000 0.500 1


No. 5
# LiLuZnIn | the Alexandria database | PBE | relaxed
# Calculated volume (Å³ per atom): 20.7
# ΔH_f (0 K) (meV per atom): -288
data_LiLuZnIn
_cell_length_a 6.922
_cell_length_b 6.922
_cell_length_c 6.922
_cell_angle_alpha 90.00
_cell_angle_beta 90.00
_cell_angle_gamma 90.00
_space_group_name_H-M_alt 'F -4 3 m'
_space_group_IT_number 216
_space_group_name_Hall 'F -4 2 3'
loop_
_atom_site_label
_atom_site_fract_x
_atom_site_fract_y
_atom_site_fract_z
_atom_site_occupancy
Li1 0.000 0.000 0.000 1
Lu1 0.000 0.000 0.500 1
Zn1 0.250 0.250 0.750 1
In1 0.250 0.250 0.250 1


No. 6
# Li2Mg7In | the Alexandria database | PBE | relaxed
# Calculated volume (Å³ per atom): 27.2
____________
A variety of types of research can be used to infer stock structure of POP, including age and length compositions, growth patterns and other life-history information, and genetic studies. Spatial differences in age or length compositions can be used to infer differences in recruitment patterns that may correspond to population structure. In Queen Charlotte Sound, British Columbia, Gunderson (1972) found substantial differences in the mean lengths of POP in fishery hauls taken at similar depths which were related to differences in growth rates and concluded that POP likely form aggregations with distinct biological characteristics. In a subsequent study, Gunderson (1977) found differences in size and age composition between Moresby Gully and two other gullies in Queen Charlotte Sound. Westrheim (1970, 1973) recognized “British Columbia” and “Gulf of Alaska” POP stocks off the western coast of Canada based upon spatial differences in length frequencies, age frequencies, and growth patterns observed from a trawl survey. In a study that has influenced management off Alaska, Chikuni (1975) recognized distinct POP stocks in four areas – eastern Pacific (British Columbia), Gulf of Alaska, Aleutian Islands, and Bering Sea. However, Chikuni (1975) states that the eastern Bering Sea (EBS) stock likely receives larvae from both the Gulf of Alaska (GOA) and Aleutian Islands (AI) stock, and the AI stock likely receives larvae from the GOA stock.
An alternative approach to evaluating stock structure involves examination of rockfish life-history stages directly. Stock differentiation occurs from separation at key life-history stages. Because many rockfish species are not thought to exhibit large-scale movements as adults, movement to new areas and boundaries of discrete stocks may depend largely upon the pelagic larval and juvenile life-history stages. Simulation modeling of ocean currents in the Alaska region suggest that larval dispersal may occur over very broad areas, and may be dependent on month of parturition (Stockhausen and Herman 2007).